Input:
'''
Below is a geometry-optimized KBiSe2 structure, with properties calculated at the PBE level.

Unit cell a=7.7771 b=7.7771 c=7.7771 alpha=133.22 beta=133.22 gamma=68.32
Element x y z (fractional)
1 K 0.3750 0.6250 0.7500
2 K 0.6250 0.3750 0.2500
3 Bi 0.1250 0.8750 0.2500
4 Bi 0.8750 0.1250 0.7500
5 Se 0.1028 0.3528 0.7500
6 Se 0.3528 0.1028 0.2500
7 Se 0.6472 0.8972 0.7500
8 Se 0.8972 0.6472 0.2500

Properties
SG   No. 141
Magnetization   0.0012 μB/atom
Formation energy from the elements   -0.9113 eV per atom
Crystal system   tetragonal
'''
Exercise:
What is needed: give back the lines earlier on up to the one that holds "Magnetization", that line included.
Response:
Below is a geometry-optimized KBiSe2 structure, with properties calculated at the PBE level.

Unit cell a=7.7771 b=7.7771 c=7.7771 alpha=133.22 beta=133.22 gamma=68.32
Element x y z (fractional)
1 K 0.3750 0.6250 0.7500
2 K 0.6250 0.3750 0.2500
3 Bi 0.1250 0.8750 0.2500
4 Bi 0.8750 0.1250 0.7500
5 Se 0.1028 0.3528 0.7500
6 Se 0.3528 0.1028 0.2500
7 Se 0.6472 0.8972 0.7500
8 Se 0.8972 0.6472 0.2500

Properties
SG   No. 141
Magnetization   0.0012 μB/atom